What to do =
Please retype everything below without additions.

File =
/*
1.
Computed, not measured: a relaxed PPtS2N crystal at the GGA-PBE level of DFT.

## Properties
- Relative energy among the computed polymorphs: 1.239 eV per atom
- Formation energy (no corrections): 1.919 eV per atom

Geometry as CIF:
```
data_PPtS2N
_cell_length_a 4.689
_cell_length_b 4.689
_cell_length_c 4.622
_cell_angle_alpha 90.00
_cell_angle_beta 90.00
_cell_angle_gamma 90.00
_symmetry_space_group_name_H-M 'P 4/m m m'
_symmetry_Int_Tables_number 123
_symmetry_space_group_name_Hall '-P 4 2'
loop_
_atom_site_label
_atom_site_type_symbol
_atom_site_fract_x
_atom_site_fract_y
_atom_site_fract_z
P1 P 0.000 0.000 0.000
Pt1 Pt 0.000 0.000 0.500
S1 S 0.000 0.500 0.500
N1 N 0.500 0.500 0.000
```



2.
Computed, not measured: a relaxed PPtS2N crystal at the GGA-PBE level of DFT.

## Properties
- Relative energy among the computed polymorphs: 0.000 eV per atom
- Formation energy (no corrections): 0.680 eV per atom

Geometry as CIF:
```
data_PPtS2N
_cell_length_a 4.666
_cell_length_b 4.666
_cell_length_c 3.163
_cell_angle_alpha 90.00
_cell_angle_beta 90.00
_cell_angle_gamma 90.00
_symmetry_space_group_name_H-M 'P 4/m m m'
_symmetry_Int_Tables_number 123
_symmetry_space_group_name_Hall '-P 4 2'
loop_
_atom_site_label
_atom_site_type_symbol
_atom_site_fract_x
_atom_site_fract_y
_atom_site_fract_z
P1 P 0.000 0.000 0.000
Pt1 Pt 0.500 0.500 0.500
S1 S 0.000 0.500 0.000
N1 N 0.000 0.000 0.500
```
*/

Solution =
1.
Computed, not measured: a relaxed PPtS2N crystal at the GGA-PBE level of DFT.

## Properties
- Relative energy among the computed polymorphs: 1.239 eV per atom
- Formation energy (no corrections): 1.919 eV per atom

Geometry as CIF:
```
data_PPtS2N
_cell_length_a 4.689
_cell_length_b 4.689
_cell_length_c 4.622
_cell_angle_alpha 90.00
_cell_angle_beta 90.00
_cell_angle_gamma 90.00
_symmetry_space_group_name_H-M 'P 4/m m m'
_symmetry_Int_Tables_number 123
_symmetry_space_group_name_Hall '-P 4 2'
loop_
_atom_site_label
_atom_site_type_symbol
_atom_site_fract_x
_atom_site_fract_y
_atom_site_fract_z
P1 P 0.000 0.000 0.000
Pt1 Pt 0.000 0.000 0.500
S1 S 0.000 0.500 0.500
N1 N 0.500 0.500 0.000
```



2.
Computed, not measured: a relaxed PPtS2N crystal at the GGA-PBE level of DFT.

## Properties
- Relative energy among the computed polymorphs: 0.000 eV per atom
- Formation energy (no corrections): 0.680 eV per atom

Geometry as CIF:
```
data_PPtS2N
_cell_length_a 4.666
_cell_length_b 4.666
_cell_length_c 3.163
_cell_angle_alpha 90.00
_cell_angle_beta 90.00
_cell_angle_gamma 90.00
_symmetry_space_group_name_H-M 'P 4/m m m'
_symmetry_Int_Tables_number 123
_symmetry_space_group_name_Hall '-P 4 2'
loop_
_atom_site_label
_atom_site_type_symbol
_atom_site_fract_x
_atom_site_fract_y
_atom_site_fract_z
P1 P 0.000 0.000 0.000
Pt1 Pt 0.500 0.500 0.500
S1 S 0.000 0.500 0.000
N1 N 0.000 0.000 0.500
```